What Do Agile Frameworks Have in Common?

Someone pasted calculated molecules at this point >
- - -
{
  "formula": "C43H53FGaN4O3P2",
  "method": "ωB97M-V/def2-TZVPD",
  "e_homo_ev": -9.36,
  "molar_mass_g_mol": 824.591,
  "total_charge": 1,
  "relative_energy_ev": 0.0000,
  "gap_ev": 6.7720,
  "symbols": ["Ga", "C", "C", "C", "P", "C", "C", "C", "C", "C", "C", "C", "C", "C", "N", "C", "C", "C", "C", "C", "C", "P", "C", "C", "C", "C", "C", "C", "H", "H", "H", "H", "H", "H", "H", "H", "H", "H", "H", "H", "H", "H", "H", "H", "H", "H", "H", "H", "H", "H", "H", "H", "H", "H", "H", "H", "H", "H", "H", "H", "H", "H", "H", "H", "C", "C", "C", "C", "C", "C", "C", "F", "C", "C", "C", "O", "C", "C", "N", "C", "C", "O", "O", "H", "H", "H", "H", "H", "H", "H", "H", "H", "H", "H", "N", "C", "C", "C", "N", "C", "C", "H", "H", "H", "H", "H", "H"],
- - -

Agile frameworks are a set of methodologies, practices and principles that organizations adopt to guide their approach to project management. Some of the most popular frameworks include Scrum, Kanban, Lean, and Extreme Programming (XP). Despite having different origins, goals and approaches, these frameworks share important common characteristics that define what it means to be Agile.

In this article, we will explore the key traits that Agile frameworks have in common, including their focus on adaptive planning, empowering teams, delivering value incrementally, embracing change and fostering collaboration. We’ll also look at how these commonalities shape the structure and practices of Agile frameworks, and how they support organizations in achieving their goals.

Agile Frameworks Focus on Adaptive Planning

One of the defining features of Agile frameworks is their focus on adaptive planning. This means that Agile teams plan their work using a flexible, iterative approach that allows them to respond to changes and uncertainties in the project environment. Agile frameworks emphasize the importance of being able to adjust plans as new information becomes available, rather than relying on a rigid, upfront plan that might quickly become outdated.

For example, in Scrum, teams use sprints to plan their work and make adjustments as needed. Sprints are short time-frames, usually two to four weeks, during which the team delivers a potentially shippable product increment. At the end of each sprint, the team reflects on what worked well and what didn’t, and makes appropriate adjustments to their plan for the next sprint. This allows Scrum teams to continuously adapt their plans to changing circumstances and to improve their ability to deliver value.

Similarly, in Kanban, teams use a visual board to manage their work items, and they use policies and metrics to control the flow of work. Teams can adjust the policies and metrics as needed to optimize their workflow and respond to changes in demand. This approach helps Kanban teams to be more responsive to changing requirements and to deliver value more effectively.

“If you want to go fast, go alone. If you want to go far, go together.” - African proverb

Empowering Teams

Another common characteristic of Agile frameworks is their focus on empowering teams. Agile frameworks recognize that teams are best positioned to make decisions about how to deliver value, and they provide teams with the autonomy and accountability to do so. This means that Agile teams are encouraged to make decisions about how to complete their work, and they are held responsible for the outcomes of those decisions.

For example, in Scrum, the team is responsible for estimating the effort required to complete their work, and for committing to delivering a certain amount of work in each sprint. The team is also responsible for managing its own work, and for making decisions about how to resolve any obstacles that arise. This level of autonomy and responsibility helps Scrum teams to be more engaged and motivated, and to deliver higher quality results.

In Kanban, teams are responsible for managing their own workflow and for making decisions about how to optimize the flow of work. Teams are encouraged to experiment with different policies and metrics to find what works best for them, and they are held accountable for the outcomes of their decisions. This approach helps Kanban teams to be more effective and efficient, and to deliver value more consistently.

Delivering Value Incrementally

A third common characteristic of Agile frameworks is their focus on delivering value incrementally. Agile frameworks recognize that projects and products are complex and uncertain, and that it is often difficult to predict all of the requirements and risks up front. To address this uncertainty, Agile frameworks advocate for delivering value in small, incremental chunks, rather than trying to deliver everything all at once.

For example, in Scrum, teams deliver a potentially shippable product increment at the end of each sprint. This allows the team to get feedback from stakeholders and customers early and often, and to make adjustments to their plans as needed. This approach helps Scrum teams to be more responsive to changing requirements and to deliver value more effectively.

In Kanban, teams focus on delivering value by completing work items and moving them through the workflow. Teams prioritize their work based on customer value, and they focus on delivering the most valuable items first. This approach helps Kanban teams to be more focused and to deliver value more consistently.

Embracing Change

A fourth common characteristic of Agile frameworks is their embrace of change. Agile frameworks recognize that change is inevitable, and that it is often beneficialto the project and product. Agile frameworks encourage teams to embrace change, rather than resist it, and to use change as an opportunity to improve their plans and processes.

For example, in Scrum, the sprint review is a formal opportunity for the team to demonstrate what they have accomplished and to receive feedback from stakeholders and customers. This feedback can lead to changes in the product backlog and in the team’s plans for future sprints. This approach helps Scrum teams to be more responsive to changing requirements and to deliver value more effectively.

In Kanban, teams use metrics and policies to control the flow of work, and they are encouraged to adjust these policies and metrics as needed. For example, if a team discovers that they are consistently overloading their capacity, they can adjust their policies to reduce the amount of work they take on. This approach helps Kanban teams to be more adaptive and to respond to changes in demand more effectively.

Fostering Collaboration

Finally, Agile frameworks have a strong focus on fostering collaboration. Agile frameworks recognize that projects and products are complex and that they often require input from many different stakeholders. To address this complexity, Agile frameworks advocate for close collaboration between team members, stakeholders, and customers.

For example, in Scrum, the daily stand-up is a formal opportunity for the team to share what they have accomplished, what they plan to do next, and what obstacles they are facing. This regular communication helps to build trust and understanding among team members, and it supports collaboration and problem-solving.

In Kanban, teams use visual boards and policies to manage their work, and they encourage collaboration by making work visible and transparent. Teams are also encouraged to collaborate with stakeholders and customers to optimize their workflow and to deliver value more effectively.


In conclusion, Agile frameworks have many important common characteristics that define what it means to be Agile. These commonalities include a focus on adaptive planning, empowering teams, delivering value incrementally, embracing change, and fostering collaboration. By adopting these traits, Agile frameworks help organizations to achieve their goals and to deliver value more effectively.
